Data:
+++
{
  "formula": "CF3LiNO4S3Zn",
  "method": "ωB97M-V/def2-TZVPD",
  "homo_lumo_gap_ev": [6.66, 6.66],
  "charge": -1,
  "lumo_energy_ev": [1.98, 1.98],
  "total_energy_ev": -99998.760,
  "species": ["Zn", "S", "S", "S", "F", "F", "F", "O", "O", "O", "O", "N", "C", "Li"],
  "coordinates": [[-1.4738, 0.3871, 1.4449], [0.6555, 0.6945, -0.3463], [-2.2054, -2.2828, 2.6286], [0.2890, -1.2554, 2.6552], [-0.4305, 1.5601, -2.5109], [1.6353, 0.9431, -2.8012], [1.2129, 2.8154, -1.8139], [-2.5557, -1.4862, 1.1718], [2.0198, 0.5677, 0.3681], [0.3656, -0.6740, -0.9161], [0.6565, -2.3126, 1.5362], [-0.3173, 1.4981, 0.4561], [0.7939, 1.5657, -1.9818], [-0.6456, -2.0209, 0.1094]],
  "forces_ev_per_a": [[0.5, -1.9, -0.5], [4.5, -2.2, 2.2], [1.3, 1.6, -0.3], [-2.3, -2.6, -1.6], [0.0, 0.3, -0.6], [0.0, 0.1, -0.4], [0.0, 0.5, -0.3], [1.4, 1.0, 0.7], [-2.9, 1.0, -2.5], [-1.3, 0.9, 0.5], [-0.2, 1.6, 1.2], [-1.7, 0.1, -0.2], [0.2, -0.6, 1.5], [0.3, 0.3, 0.2]]
}

* * * * *

Computed, not measured: 11 unconnected molecules or ions with the total composition C66H55N11O22, with the ωB97M-V functional and the def2-TZVPD basis.

Element x y z (Å)
H  -2.944  0.833  -1.400
H  -3.746  8.580  -6.108
C  9.965  -4.640  6.555
H  -9.371  1.363  -2.207
H  -1.927  1.398  2.763
N  0.554  0.720  2.441
H  1.966  -4.994  -8.342
O  -14.017  2.546  -1.866
H  -3.697  -3.574  2.301
H  -2.130  0.914  -13.999
C  6.898  7.291  5.672
O  -0.685  6.105  -6.542
O  -9.479  2.420  5.359
C  -2.562  0.909  -11.925
C  6.059  -3.024  -1.211
C  -12.388  0.668  -4.564
H  7.995  -4.526  6.070
C  -1.706  1.268  1.713
O  13.518  -4.289  7.062
C  9.162  -3.046  4.921
N  4.778  6.044  6.310
C  -1.107  9.547  -8.755
C  -11.208  1.761  7.276
C  4.860  -4.943  11.155
C  -13.151  3.604  7.951
O  -2.783  0.404  -8.433
C  6.542  -4.248  -0.842
C  -2.665  1.402  0.697
H  -12.415  4.751  6.356
C  5.387  -2.393  10.102
H  -3.613  0.931  -12.173
C  -4.672  -3.805  1.897
C  8.771  -3.381  -0.980
H  8.595  8.258  4.891
O  12.071  -5.151  8.360
N  -3.025  1.017  -9.439
O  7.898  -1.343  10.560
H  8.317  -5.487  -0.652
H  2.988  -4.719  9.907
H  6.645  -1.111  -1.989
H  10.593  -1.738  4.050
H  -2.036  11.400  -8.941
H  -7.858  -2.785  2.280
H  3.842  -6.209  -9.184
H  6.906  -4.800  11.863
C  7.475  7.358  3.311
C  -1.672  0.925  -13.021
N  -13.896  1.678  -2.785
C  3.472  -6.419  -8.192
H  3.967  -8.535  -5.452
O  10.436  -1.182  -1.231
C  8.351  -2.117  -1.246
C  -2.286  1.050  -0.572
H  1.259  0.929  -11.437
H  -13.219  0.319  -5.160
H  2.358  -7.050  -4.566
C  -0.962  8.319  -8.179
O  8.893  0.171  -1.896
C  -0.396  0.955  1.402
C  2.645  -6.843  -5.587
H  -0.665  0.283  -1.762
H  5.442  -1.396  9.690
C  -2.051  10.477  -8.380
C  -0.677  1.006  -10.362
O  -14.906  1.209  -3.331
C  11.213  -3.982  6.523
H  -11.012  -0.396  -5.795
C  -11.287  3.004  6.542
H  -11.806  0.712  9.001
C  7.960  -4.492  -0.874
O  5.200  5.934  7.486
O  0.144  0.520  3.544
H  -13.940  4.263  8.280
C  8.951  -4.111  5.789
C  3.900  -4.302  10.308
H  -0.372  0.923  -9.329
C  0.180  0.905  -11.476
H  7.257  7.597  6.643
H  12.511  -2.543  5.585
C  7.008  -2.005  -1.505
C  -4.784  -4.777  0.920
C  10.439  -2.498  4.801
H  1.059  0.484  -0.107
C  5.454  6.320  3.992
C  1.936  -5.924  -6.346
O  8.263  -2.675  12.107
O  -3.765  -6.397  -0.467
H  3.444  -2.547  9.196
N  7.596  -2.326  11.162
H  9.842  -3.472  -0.876
C  11.501  -2.924  5.623
C  -6.981  -3.358  2.020
O  5.337  -8.442  -9.215
C  -5.731  -3.124  2.540
H  -11.562  2.000  -1.473
H  8.211  7.681  2.589
C  3.982  -7.512  -7.419
H  -6.332  -5.754  -0.324
N  -3.674  -5.306  0.062
H  4.667  -5.793  11.792
H  1.039  -5.501  -5.919
C  -10.227  1.104  -2.812
N  12.354  -4.438  7.431
H  -3.657  1.770  0.916
O  3.626  5.784  6.001
C  5.653  6.625  5.313
N  -10.228  3.289  5.624
O  -2.719  6.240  -5.965
C  -0.964  0.659  -0.794
H  6.066  6.479  1.933
C  -11.097  0.215  -4.908
C  -10.033  0.466  -4.043
C  -11.952  1.562  8.351
H  -13.693  2.203  9.445
C  6.305  -2.997  10.901
+++
Activity:
Could you type out the rows further above verbatim?
Completed:
{
  "formula": "CF3LiNO4S3Zn",
  "method": "ωB97M-V/def2-TZVPD",
  "homo_lumo_gap_ev": [6.66, 6.66],
  "charge": -1,
  "lumo_energy_ev": [1.98, 1.98],
  "total_energy_ev": -99998.760,
  "species": ["Zn", "S", "S", "S", "F", "F", "F", "O", "O", "O", "O", "N", "C", "Li"],
  "coordinates": [[-1.4738, 0.3871, 1.4449], [0.6555, 0.6945, -0.3463], [-2.2054, -2.2828, 2.6286], [0.2890, -1.2554, 2.6552], [-0.4305, 1.5601, -2.5109], [1.6353, 0.9431, -2.8012], [1.2129, 2.8154, -1.8139], [-2.5557, -1.4862, 1.1718], [2.0198, 0.5677, 0.3681], [0.3656, -0.6740, -0.9161], [0.6565, -2.3126, 1.5362], [-0.3173, 1.4981, 0.4561], [0.7939, 1.5657, -1.9818], [-0.6456, -2.0209, 0.1094]],
  "forces_ev_per_a": [[0.5, -1.9, -0.5], [4.5, -2.2, 2.2], [1.3, 1.6, -0.3], [-2.3, -2.6, -1.6], [0.0, 0.3, -0.6], [0.0, 0.1, -0.4], [0.0, 0.5, -0.3], [1.4, 1.0, 0.7], [-2.9, 1.0, -2.5], [-1.3, 0.9, 0.5], [-0.2, 1.6, 1.2], [-1.7, 0.1, -0.2], [0.2, -0.6, 1.5], [0.3, 0.3, 0.2]]
}

* * * * *

Computed, not measured: 11 unconnected molecules or ions with the total composition C66H55N11O22, with the ωB97M-V functional and the def2-TZVPD basis.

Element x y z (Å)
H  -2.944  0.833  -1.400
H  -3.746  8.580  -6.108
C  9.965  -4.640  6.555
H  -9.371  1.363  -2.207
H  -1.927  1.398  2.763
N  0.554  0.720  2.441
H  1.966  -4.994  -8.342
O  -14.017  2.546  -1.866
H  -3.697  -3.574  2.301
H  -2.130  0.914  -13.999
C  6.898  7.291  5.672
O  -0.685  6.105  -6.542
O  -9.479  2.420  5.359
C  -2.562  0.909  -11.925
C  6.059  -3.024  -1.211
C  -12.388  0.668  -4.564
H  7.995  -4.526  6.070
C  -1.706  1.268  1.713
O  13.518  -4.289  7.062
C  9.162  -3.046  4.921
N  4.778  6.044  6.310
C  -1.107  9.547  -8.755
C  -11.208  1.761  7.276
C  4.860  -4.943  11.155
C  -13.151  3.604  7.951
O  -2.783  0.404  -8.433
C  6.542  -4.248  -0.842
C  -2.665  1.402  0.697
H  -12.415  4.751  6.356
C  5.387  -2.393  10.102
H  -3.613  0.931  -12.173
C  -4.672  -3.805  1.897
C  8.771  -3.381  -0.980
H  8.595  8.258  4.891
O  12.071  -5.151  8.360
N  -3.025  1.017  -9.439
O  7.898  -1.343  10.560
H  8.317  -5.487  -0.652
H  2.988  -4.719  9.907
H  6.645  -1.111  -1.989
H  10.593  -1.738  4.050
H  -2.036  11.400  -8.941
H  -7.858  -2.785  2.280
H  3.842  -6.209  -9.184
H  6.906  -4.800  11.863
C  7.475  7.358  3.311
C  -1.672  0.925  -13.021
N  -13.896  1.678  -2.785
C  3.472  -6.419  -8.192
H  3.967  -8.535  -5.452
O  10.436  -1.182  -1.231
C  8.351  -2.117  -1.246
C  -2.286  1.050  -0.572
H  1.259  0.929  -11.437
H  -13.219  0.319  -5.160
H  2.358  -7.050  -4.566
C  -0.962  8.319  -8.179
O  8.893  0.171  -1.896
C  -0.396  0.955  1.402
C  2.645  -6.843  -5.587
H  -0.665  0.283  -1.762
H  5.442  -1.396  9.690
C  -2.051  10.477  -8.380
C  -0.677  1.006  -10.362
O  -14.906  1.209  -3.331
C  11.213  -3.982  6.523
H  -11.012  -0.396  -5.795
C  -11.287  3.004  6.542
H  -11.806  0.712  9.001
C  7.960  -4.492  -0.874
O  5.200  5.934  7.486
O  0.144  0.520  3.544
H  -13.940  4.263  8.280
C  8.951  -4.111  5.789
C  3.900  -4.302  10.308
H  -0.372  0.923  -9.329
C  0.180  0.905  -11.476
H  7.257  7.597  6.643
H  12.511  -2.543  5.585
C  7.008  -2.005  -1.505
C  -4.784  -4.777  0.920
C  10.439  -2.498  4.801
H  1.059  0.484  -0.107
C  5.454  6.320  3.992
C  1.936  -5.924  -6.346
O  8.263  -2.675  12.107
O  -3.765  -6.397  -0.467
H  3.444  -2.547  9.196
N  7.596  -2.326  11.162
H  9.842  -3.472  -0.876
C  11.501  -2.924  5.623
C  -6.981  -3.358  2.020
O  5.337  -8.442  -9.215
C  -5.731  -3.124  2.540
H  -11.562  2.000  -1.473
H  8.211  7.681  2.589
C  3.982  -7.512  -7.419
H  -6.332  -5.754  -0.324
N  -3.674  -5.306  0.062
H  4.667  -5.793  11.792
H  1.039  -5.501  -5.919
C  -10.227  1.104  -2.812
N  12.354  -4.438  7.431
H  -3.657  1.770  0.916
O  3.626  5.784  6.001
C  5.653  6.625  5.313
N  -10.228  3.289  5.624
O  -2.719  6.240  -5.965
C  -0.964  0.659  -0.794
H  6.066  6.479  1.933
C  -11.097  0.215  -4.908
C  -10.033  0.466  -4.043
C  -11.952  1.562  8.351
H  -13.693  2.203  9.445
C  6.305  -2.997  10.901